There are people out there who are scrutinising the Government web site for anything which reveals what their plans are. The following job offer was spotted.
A second job advertised for a Deputy Director for management of the covid pass £71k per year! Deputy Director, Service Management Covid Pass - Civil Service Jobs - GOV.UK
Soon after, Desmond Swain, Conservative MP for New Forest West, stood up in Parliament to question Sajid Javid on what it was about. Desmond said, I think he was taken by surprise when I asked for an explanation. Later Sajid confirmed that the job offer has been pulled. If you click on the link GOV.UK have confirmed that the job has closed or been withdrawn. The closing date was 15th of June.
Someone was quick to take screenshots.

As I said, question everything. People think we are getting back to normal. They will keep pushing.
Back later. ilona
I think covid is still very much here at the moment and government figures are not the truth. Now people have to pay for tests many don't bother. Which is another way of lowering the positive case rates. People are lulled into a sense of false security and are mixing freely in crowded places. Both my sisters have covid atm and one is CEV and very ill. I'm pretty sure the jabs aren't much good either as she's had 4 and still really ill. Other sister had 3 jabs and quite ill too. So much for it making it a mild illness. Quite clever really, gain money for the tests and lower the rates at the same time. People feel safer due to low infection rates and buy more tests when ill so more money in. Sally x
ReplyDeleteIt's all going according to plan. They need to keep the money coming in to fund the next stage. It's a vicious circle. They have trialled it over the last 2 - 3 years, and people buy into it, even now, when it's obvious what is happening. Any hint of cases rising sends people to line up for another jabberwocky. I know someone who has had four, which has exacerbated her previous conditions. Now going through a series of tests. She is never going to be right again.
DeleteThe precedent has been set, the sheople have been trained to bleat whenever Whitehall or Downing Street ring a bell - although the jury's still out when it comes to what they are really doing with this patently absurd "PonkeyMox" (sic). I do notice that comparing the NHS website to independent archives shows that they've re-written the relevant pages. Where only recently the illness was 'mild' and 'cleared up in two to four weeks without treatment' and was 'rarely/barely seen outside of Africa' suddenly it is more serious, possibly airborne, everyone must isolate, and it's been re-classified as an officially Notifiable Disease on a par with "Pallsmox" (sic). Amazing how the NHS has learned so much fresh information in just a few weeks at just the "right" time about this relatively obscure, mild, rare, backwater, difficult-to-catch illness! Names changed to avoid Neglect by Google Algorithm. ;-)
ReplyDeleteYou don't hear so much about conspiracy theorists now, because slowly the evil plot is being exposed. It was never a theory. Some of us are ahead of the game. As you say, they are ramping up the moneypocks thing, using it to further the next stage of the plan.
**Next to the article, the page also holds crystal structures:**
+++
A plane-wave DFT calculation with SCAN was carried out for a crystal of SiAs2W relaxed with PBEsol.

Results
The value obtained for the size of the total moment is 0.00 μB/f.u. As for the volume: 15.76 Å³/atom. The density of states at the Fermi level comes out at 2.374 states/eV per cell. The formation energy from raw total energies is 0.7113 eV/atom.

Cell: 3.120 4.468 4.522 Å, 90.00 90.00 90.00°
Space group Pmmm (No. 47)
One atom of each set of equivalent atoms:
Si  0.000  0.000  0.000 [1 per cell]
As  0.000  0.500  0.500 [1 per cell]
As  0.500  0.500  0.000 [1 per cell]
W  0.500  0.000  0.500 [1 per cell]

---

A plane-wave DFT calculation with SCAN was carried out for a crystal of Si2AsW relaxed with PBEsol.

Results
The value obtained for the size of the total moment is 0.00 μB/f.u. As for the volume: 15.89 Å³/atom. The density of states at the Fermi level comes out at 4.577 states/eV per cell. The formation energy from raw total energies is 0.5256 eV/atom.

Cell: 3.422 4.148 8.956 Å, 90.00 90.00 90.00°
Space group Cmmm (No. 65)
One atom of each set of equivalent atoms:
Si  0.000  0.000  0.220 [4 per cell]
As  0.000  0.500  0.500 [2 per cell]
W  0.000  0.500  0.000 [2 per cell]

---

A plane-wave DFT calculation with SCAN was carried out for a crystal of Si2AsW relaxed with PBEsol.

Results
The value obtained for the size of the total moment is 0.00 μB/f.u. As for the volume: 14.66 Å³/atom. The density of states at the Fermi level comes out at 2.412 states/eV per cell. The formation energy from raw total energies is 0.6599 eV/atom.

Cell: 3.171 4.285 4.315 Å, 90.00 90.00 90.00°
Space group Pmmm (No. 47)
One atom of each set of equivalent atoms:
Si  0.000  0.000  0.000 [1 per cell]
Si  0.500  0.500  0.000 [1 per cell]
As  0.000  0.500  0.500 [1 per cell]
W  0.500  0.000  0.500 [1 per cell]

---

A plane-wave DFT calculation with SCAN was carried out for a crystal of SiAs2W relaxed with PBEsol.

Results
The value obtained for the size of the total moment is 1.83 μB/f.u. As for the volume: 21.78 Å³/atom. The density of states at the Fermi level comes out at 11.040 states/eV per cell. The formation energy from raw total energies is 0.6191 eV/atom.

Cell: 5.733 5.733 10.599 Å, 90.00 90.00 90.00°
Space group I-42d (No. 122)
One atom of each set of equivalent atoms:
Si  0.000  0.000  0.000 [4 per cell]
As  0.242  0.250  0.125 [8 per cell]
W  0.000  0.000  0.500 [4 per cell]

---

A plane-wave DFT calculation with SCAN was carried out for a crystal of Si2AsW relaxed with PBEsol.

Results
The value obtained for the size of the total moment is 0.00 μB/f.u. As for the volume: 15.69 Å³/atom. The density of states at the Fermi level comes out at 2.747 states/eV per cell. The formation energy from raw total energies is 0.3921 eV/atom.

Cell: 3.137 3.137 6.376 Å, 90.00 90.00 90.00°
Space group P4mm (No. 99)
One atom of each set of equivalent atoms:
Si  0.000  0.000  0.000 [1 per cell]
Si  0.500  0.500  0.215 [1 per cell]
+++
DeletePeter McCullough, MD MPH
Headlining two programs in Nashville area Jun 11-12 with key nursing leaders who faced the original threat of contagion; now they are fielding the deluge of injuries, disabilities, and death from the mandated genetic products
BREAKING: Missouri Governor Mike Parson has signed legislation that will prevent state licensing boards from punishing physicians who prescribe Ivermectin and hydroxychloroquine.
ReplyDeleteThis is a tremendous victory for medical freedom.
**These records of crystals were left in the text by mistake:**
<<<
No. 1
Here is a geometry-optimized La3CdOs structure from Alexandria. Energies are from PBEsol.

a b c (Å): 5.499 5.499 5.499
angles (deg): 90.00 90.00 90.00
Fractional positions:
La: 0.000 0.000 0.500
La: 0.000 0.500 0.000
La: 0.500 0.000 0.000
Cd: 0.500 0.500 0.500
Os: 0.000 0.000 0.000

SG   Pm-3m, No. 221
DOS at the Fermi energy   4.38 states/eV/cell
E_form   -0.201 eV per formula unit

---

No. 2
Here is a geometry-optimized MgScCd2 structure from Alexandria. Energies are from PBEsol.

a b c (Å): 3.184 4.699 5.895
angles (deg): 90.00 105.66 90.00
Fractional positions:
Mg: 0.000 0.000 0.000
Sc: 0.666 0.500 0.330
Cd: 0.259 0.000 0.517
Cd: 0.403 0.500 0.809

SG   Pm, No. 6
DOS at the Fermi energy   2.33 states/eV/cell
E_form   -0.819 eV per formula unit

---

No. 3
Here is a geometry-optimized NiRu2AuBr structure from Alexandria. Energies are from PBEsol.

a b c (Å): 4.907 4.907 4.906
angles (deg): 90.00 90.00 90.00
Fractional positions:
Ni: 0.000 0.000 0.000
Ru: 0.000 0.500 0.500
Ru: 0.500 0.000 0.500
Au: 0.500 0.500 0.500
Br: 0.500 0.500 0.000

SG   P4/mmm, No. 123
DOS at the Fermi energy   11.33 states/eV/cell
E_form (uncorrected)   2383 meV per atom

---

No. 4
Here is a geometry-optimized Ca2YRh structure from Alexandria. Energies are from PBEsol.

a b c (Å): 3.688 8.373 8.373
angles (deg): 27.73 90.00 90.00
Fractional positions:
Ca: 0.000 0.000 0.000
Ca: 0.500 0.325 0.325
Y: 0.500 0.648 0.648
Rh: 0.000 0.180 0.180

SG   Amm2, No. 38
DOS at the Fermi energy   3.05 states/eV/cell
E_form   -1.213 eV per formula unit
Energy relative to the lowest polymorph listed for this composition   0.0 kJ/mol of atoms

---

No. 5
Here is a geometry-optimized PrPtF7 structure from Alexandria. Energies are from PBEsol.

a b c (Å): 9.120 5.567 12.198
angles (deg): 90.00 118.39 90.00
Fractional positions:
Pr: 0.189 0.239 0.264
Pr: 0.189 0.261 0.764
Pr: 0.811 0.739 0.236
Pr: 0.811 0.761 0.736
Pt: 0.273 0.744 0.042
Pt: 0.273 0.756 0.542
Pt: 0.727 0.244 0.458
Pt: 0.727 0.256 0.958
F: 0.031 0.742 0.951
F: 0.031 0.758 0.451
F: 0.037 0.605 0.730
F: 0.037 0.895 0.230
F: 0.260 0.562 0.173
F: 0.260 0.938 0.673
F: 0.272 0.037 0.128
F: 0.272 0.463 0.628
F: 0.282 0.053 0.462
F: 0.282 0.447 0.962
F: 0.291 0.569 0.414
F: 0.291 0.931 0.914
F: 0.486 0.237 0.362
F: 0.486 0.263 0.862
F: 0.514 0.737 0.138
F: 0.514 0.763 0.638
F: 0.709 0.069 0.086
F: 0.709 0.431 0.586
F: 0.718 0.553 0.038
F: 0.718 0.947 0.538
F: 0.728 0.537 0.372
F: 0.728 0.963 0.872
F: 0.740 0.062 0.327
F: 0.740 0.438 0.827
F: 0.963 0.105 0.770
F: 0.963 0.395 0.270
F: 0.969 0.242 0.549
F: 0.969 0.258 0.049

SG   P2_1/c, No. 14
DOS at the Fermi energy   0.00 states/eV/cell
E_form (uncorrected)   -2578 meV per atom

---

No. 6
Here is a geometry-optimized Mo3WSe2S6 structure from Alexandria. Energies are from PBEsol.

a b c (Å): 3.170 3.170 25.249
angles (deg): 90.00 90.00 120.00
Fractional positions:
Mo: 0.000 0.000 0.000
Mo: 0.000 0.000 0.498
Mo: 0.667 0.333 0.245
W: 0.667 0.333 0.754
Se: 0.667 0.333 0.431
>>>
I’m so glad I held the line and didn’t have the vx as In convinced I would have suffered life changing side effects and be in a pathway of medication for life and a treadmill of hospital appointments and tests. None of this was easy and particularly losing friends and a job that offered a lot of flexibility. I’m lucky enough to have found another job but am tied to a contract which I don’t like. I’m very thankful for people like Ilona as the last two years have felt very isolating and of course it’s never going to stop.
ReplyDeleteWe are not alone. This is the largest medical experiment ever in history. . You know that, I know that. If my going on about it will wake a handful of people up, then it will have been worth it to put up with the nasty comments frequently thrown my way. Hold the line. We are on the right side.
You're right, most people think it's back to normal. The Government have really messed with people's heads and their ability to do any form of critical thinking. Even now, in June 2022 there are still people thinking - 'if only we'd just stuck to restrictions it'd have shortened the pandemic'. I mean honestly!! Many people just don't see what's under their noses. Cheers, Karen